# To do
Restate the lines underneath from the one with "74.01" to the one with "Entry 2:" without altering anything, please.
# Listing
+++
Entry 1:
This entry pairs a crystal structure of SrNp4Ni3S12 with its simulated powder X-ray diffraction pattern. Radiation: Cu Kα (weighted mean of Kα1 and Kα2). Structure: a crystal structure in Alexandria, relaxed with GGA-PBE.

Most intense lines, 2θ from 10° to 90°, low angle first:
| 2theta | intensity |
| --- | --- |
| 18.51 | 37 |
| 26.30 | 100 |
| 32.36 | 10 |
| 37.53 | 24 |
| 42.16 | 26 |
| 46.41 | 61 |
| 54.13 | 14 |
| 61.15 | 23 |
| 74.01 | 24 |
| 86.07 | 18 |

Crystal structure
Cell: 8.301 8.301 8.301 Å, 109.47 109.47 109.47°
Atoms (fractional coordinates):
Sr (0.000, 0.000, 0.000)
Np (0.000, 0.000, 0.500)
Np (0.000, 0.500, 0.000)
Np (0.500, 0.000, 0.000)
Np (0.500, 0.500, 0.500)
Ni (0.000, 0.500, 0.500)
Ni (0.500, 0.000, 0.500)
Ni (0.500, 0.500, 0.000)
S (0.155, 0.323, 0.478)
S (0.155, 0.677, 0.833)
S (0.167, 0.845, 0.323)
S (0.323, 0.167, 0.845)
S (0.323, 0.478, 0.155)
S (0.478, 0.155, 0.323)
S (0.522, 0.845, 0.677)
S (0.677, 0.522, 0.845)
S (0.677, 0.833, 0.155)
S (0.833, 0.155, 0.677)
S (0.845, 0.323, 0.167)
S (0.845, 0.677, 0.522)

---

Entry 2:
This entry pairs a crystal structure of Np4TlNi3S12 with its simulated powder X-ray diffraction pattern. Radiation: Cu Kα (weighted mean of Kα1 and Kα2). Structure: a crystal structure in Alexandria, relaxed with GGA-PBE.

Most intense lines, 2θ from 10° to 90°, low angle first:
| 2theta | intensity |
| --- | --- |
| 18.48 | 20 |
| 26.25 | 100 |
| 29.42 | 8 |
| 37.47 | 23 |
| 42.09 | 15 |
| 46.33 | 59 |
| 54.03 | 14 |
| 61.04 | 23 |
| 73.86 | 23 |
| 85.89 | 17 |

Crystal structure
Cell: 8.315 8.315 8.315 Å, 109.47 109.47 109.47°
Atoms (fractional coordinates):
Np (0.000, 0.000, 0.500)
Np (0.000, 0.500, 0.000)
Np (0.500, 0.000, 0.000)
Np (0.500, 0.500, 0.500)
Tl (0.000, 0.000, 0.000)
Ni (0.000, 0.500, 0.500)
Ni (0.500, 0.000, 0.500)
Ni (0.500, 0.500, 0.000)
S (0.160, 0.330, 0.490)
S (0.160, 0.670, 0.830)
S (0.170, 0.840, 0.330)
S (0.330, 0.170, 0.840)
S (0.330, 0.490, 0.160)
S (0.490, 0.160, 0.330)
S (0.510, 0.840, 0.670)
S (0.670, 0.510, 0.840)
S (0.670, 0.830, 0.160)
S (0.830, 0.160, 0.670)
S (0.840, 0.330, 0.170)
S (0.840, 0.670, 0.510)

---

Entry 3:
This entry pairs a crystal structure of Y2NpNiS5 with its simulated powder X-ray diffraction pattern. Radiation: Cu Kα (weighted mean of Kα1 and Kα2). Structure: a crystal structure in Alexandria, relaxed with GGA-PBE.

Most intense lines, 2θ from 10° to 90°, low angle first:
| 2theta | intensity |
| --- | --- |
| 13.14 | 42 |
| 15.20 | 21 |
| 18.64 | 24 |
| 22.86 | 28 |
| 25.33 | 44 |
| 28.78 | 35 |
| 33.62 | 100 |
| 37.07 | 23 |
| 39.50 | 47 |
| 46.12 | 24 |

Crystal structure
Cell: 8.463 8.463 11.658 Å, 90.00 90.00 154.35°
Atoms (fractional coordinates):
Y (0.106, 0.894, 0.500)
Y (0.116, 0.884, 0.842)
Y (0.884, 0.116, 0.342)
Y (0.894, 0.106, 0.000)
Np (0.176, 0.824, 0.177)
Np (0.824, 0.176, 0.677)
Ni (0.450, 0.550, 0.569)
Ni (0.550, 0.450, 0.069)
S (0.016, 0.984, 0.163)
S (0.304, 0.696, 0.846)
S (0.320, 0.680, 0.508)
S (0.343, 0.657, 0.168)
S (0.496, 0.504, 0.895)
S (0.504, 0.496, 0.395)
S (0.657, 0.343, 0.668)
S (0.680, 0.320, 0.008)
S (0.696, 0.304, 0.346)
S (0.984, 0.016, 0.663)

=====

1.
The following is a calculated PXRD pattern of Dy6YTl5. It was derived from a DFT-relaxed cell (PBE, Alexandria), using λ = 1.5418 Å (Cu Kα).
Intensities are scaled so that the largest is 100.

Principal peaks in the range 2θ from 5° to 70°, low angle first:
2θ 31.1, I = 4.6; 2θ 32.3, I = 100.0; 2θ 35.5, I = 17.8; 2θ 35.9, I = 20.2; 2θ 40.9, I = 12.8; 2θ 51.3, I = 12.5; 2θ 55.2, I = 9.1; 2θ 55.5, I = 10.6; 2θ 61.7, I = 11.7; 2θ 62.2, I = 15.5; 2θ 67.6, I = 9.9; 2θ 69.0, I = 9.2

Crystal structure
abc: 9.135 9.135 9.135
angles: 148.20 122.17 67.52
Atoms (fractional coordinates):
Dy (0.065, 0.330, 0.736)
Dy (0.225, 0.000, 0.225)
Dy (0.406, 0.670, 0.736)
Dy (0.594, 0.330, 0.264)
Dy (0.775, 0.000, 0.775)
Dy (0.935, 0.670, 0.264)
Y (0.500, 0.500, 0.000)
Tl (0.000, 0.500, 0.500)
Tl (0.180, 0.180, 0.000)
Tl (0.353, 0.853, 0.500)
+++
# Result
| 74.01 | 24 |
| 86.07 | 18 |

Crystal structure
Cell: 8.301 8.301 8.301 Å, 109.47 109.47 109.47°
Atoms (fractional coordinates):
Sr (0.000, 0.000, 0.000)
Np (0.000, 0.000, 0.500)
Np (0.000, 0.500, 0.000)
Np (0.500, 0.000, 0.000)
Np (0.500, 0.500, 0.500)
Ni (0.000, 0.500, 0.500)
Ni (0.500, 0.000, 0.500)
Ni (0.500, 0.500, 0.000)
S (0.155, 0.323, 0.478)
S (0.155, 0.677, 0.833)
S (0.167, 0.845, 0.323)
S (0.323, 0.167, 0.845)
S (0.323, 0.478, 0.155)
S (0.478, 0.155, 0.323)
S (0.522, 0.845, 0.677)
S (0.677, 0.522, 0.845)
S (0.677, 0.833, 0.155)
S (0.833, 0.155, 0.677)
S (0.845, 0.323, 0.167)
S (0.845, 0.677, 0.522)

---

Entry 2: